Postpartum Must-Haves for Mom

You are counting down the days until your pregnancy aches and pains are behind you. But did you know that you will experience a whole list of different after birth pains?
Along with physical complaints, you will also be trying to balance your emotions (and the rest of life). However, this time is special and you should be able to do more than just survive it. Preparing for your postpartum time now can help you feel more relaxed and capable later.
Postpartum Must-Haves for Mom
### Crystal structures, as found in the file
=====
Record 1
Ta2Nb3O12: optimized geometry, GGA-PBE.

Summary:
Its MP2020-corrected energy is -664.64 eV/cell. As for the crystal system: monoclinic. The calculated formation energy comes out at -3.10 eV per atom.

a = 9.791 Å, b = 9.669 Å, c = 16.567 Å
α = 54.58°, β = 90.00°, γ = 90.00°
Atoms (fractional coordinates):
O 0.570 0.789 0.023
O 0.193 0.302 0.838
O 0.150 0.500 0.912
O 0.383 0.696 0.932
Nb 0.250 0.525 0.500
O 0.695 0.020 0.835
Ta 0.971 0.634 0.118
O 0.430 0.211 0.977
Nb 0.382 0.965 0.644
O 0.491 0.935 0.747
O 0.835 0.682 0.406
O 0.630 0.417 0.436
O 0.850 0.500 0.088
O 0.650 0.500 0.588
O 0.089 0.783 0.134
O 0.985 0.568 0.748
O 0.411 0.783 0.634
Nb 0.619 0.751 0.144
Ta 0.471 0.366 0.382
O 0.070 0.211 0.477
Ta 0.029 0.366 0.882
O 0.883 0.304 0.568
Ta 0.966 0.864 0.382
O 0.665 0.682 0.906
O 0.485 0.432 0.752
Nb 0.882 0.035 0.856
O 0.432 0.164 0.523
Nb 0.250 0.525 0.000
Nb 0.119 0.249 0.356
O 0.568 0.836 0.477
O 0.870 0.417 0.936
O 0.350 0.500 0.412
Nb 0.750 0.475 0.000
O 0.589 0.217 0.366
Nb 0.618 0.035 0.356
O 0.195 0.980 0.665
O 0.068 0.164 0.023
O 0.009 0.935 0.247
O 0.307 0.302 0.338
Nb 0.750 0.475 0.500
O 0.417 0.049 0.865
Nb 0.881 0.751 0.644
O 0.805 0.020 0.335
O 0.370 0.583 0.564
O 0.807 0.698 0.162
O 0.932 0.836 0.977
O 0.515 0.568 0.248
O 0.335 0.318 0.094
O 0.991 0.065 0.753
O 0.930 0.789 0.523
Nb 0.118 0.965 0.144
O 0.583 0.951 0.135
O 0.693 0.698 0.662
O 0.130 0.583 0.064
O 0.083 0.049 0.365
O 0.305 0.980 0.165
Ta 0.529 0.634 0.618
Ta 0.034 0.136 0.618
O 0.015 0.432 0.252
Ta 0.534 0.864 0.882
O 0.617 0.304 0.068
O 0.917 0.951 0.635
Nb 0.381 0.249 0.856
O 0.117 0.696 0.432
O 0.509 0.065 0.253
O 0.911 0.217 0.866
O 0.165 0.318 0.594
Ta 0.466 0.136 0.118

---

Record 2
TaNbO5: optimized geometry, GGA-PBE.

Summary:
Its MP2020-corrected energy is -274.88 eV/cell. As for the crystal system: orthorhombic. The calculated formation energy comes out at -3.15 eV per atom.

a = 5.775 Å, b = 7.250 Å, c = 12.480 Å
α = 90.00°, β = 90.00°, γ = 90.00°
Atoms (fractional coordinates):
Ta 0.750 0.031 0.346
O 0.000 0.000 0.000
O 0.509 0.668 0.120
O 0.009 0.332 0.880
Nb 0.250 0.350 0.444
O 0.500 0.000 0.000
Nb 0.250 0.150 0.944
O 0.491 0.168 0.380
O 0.991 0.832 0.620
O 0.250 0.022 0.802
O 0.250 0.187 0.575
O 0.509 0.832 0.620
O 0.250 0.313 0.075
Ta 0.250 0.969 0.654
Ta 0.750 0.469 0.846
O 0.750 0.687 0.925
O 0.000 0.500 0.500
O 0.750 0.978 0.198
O 0.750 0.522 0.698
Nb 0.750 0.850 0.056
O 0.250 0.478 0.302
O 0.009 0.168 0.380
Nb 0.750 0.650 0.556
O 0.491 0.332 0.880
Ta 0.250 0.531 0.154
O 0.991 0.668 0.120
O 0.500 0.500 0.500
O 0.750 0.813 0.425

---

Record 3
TaNb2Zn2O8: optimized geometry, GGA-PBE.

Summary:
Its MP2020-corrected energy is -214.92 eV/cell. As for the crystal system: triclinic. The calculated formation energy comes out at -2.56 eV per atom.

a = 5.283 Å, b = 5.975 Å, c = 10.133 Å
α = 103.48°, β = 91.81°, γ = 91.93°
Atoms (fractional coordinates):
Ta 0.757 0.653 0.995
O 0.583 0.442 0.109
O 0.920 0.067 0.352
Zn 0.780 0.427 0.562
=====
### Here the page continues
Build a Gift Card Stash: You will need random things after you give birth that you just can’t think of now, and for most families, the newborn stage is not exactly the most financially bountiful. If you can collect a few cards to restaurants for delivery, Amazon, or any of your favorite stores now, it will pay off later. Bonus points if all gift cards can be used online. (Go with a standard Visa if you have any doubts.)
Coconut Oil: Coconut oil is magic. You won’t believe just how many things you can use it for!
Placenta Pills: While you may be on the fence, these are gaining popularity. Regulating your hormones after birth is a must – and what better way than to use what your own body created to do so. You just have to let your birth provider know that you will be keeping your placenta. Make sure to pack a cooler! Search now for a local herbalist or midwife who can have it encapsulated.
Prenatal Vitamins: That’s right, they are not just for pregnancy! These babies should be taken daily throughout your childbearing years.
Herbal Bath: Follow the instructions on the box to make a soothing perineal compress. Or, throw it in a bathtub with Epsom salt and hot water to help ease your sore bottom and promote healing. Save the tea bag and pop it in the freezer for an herbal ice pack and will help make your nether regions feel better.
Peri Bottle: The peri bottle (filled with warm water) will come in very handy for cleansing your perineal area. Use it in lieu of toilet paper in the days or weeks following birth, especially if you have stitches or hemorrhoids. You can also fill the bottle with an herbal sitz bath solution and spray it on tender areas to speed healing and increase comfort.
Herbal Healing Spray (Or a Numbing Spray): There are several natural Mama Bottom Sprays out there (hello, Amazon!), but good old Dermoplast will be your best friend if you are in a pinch. Spray after using the bathroom and feel an instant cooling and relief.
Pads of All Sizes: In the weeks following birth, your uterus will be discharging copious amounts of lochia (blood and tissue – big globs of tissue). The first few days of flow will be very heavy, and then it will taper off over the next two to four weeks. Lochia is discharged regardless of whether you’ve had a vaginal birth or a C-section. If you’re giving birth at the hospital, they’ll provide you with enormous pads and most likely some mesh undies (so you don’t ruin your own). These come in handy for the first week, so grab as many as you can from the hospital before you leave. If you are giving birth at home or at a birth center, you’ll want to pick up some overnight maxi pads (preferably the thick ones). Some women even use Depends or Poise disposables for the first few days of very heavy flow. After that, you’ll probably be able to step down to an overnight or even a regular pad until the bleeding stops.
Granny Panties: You want soft, supportive, underwear that you can just toss after the postpartum bleeding ends.
Tucks with Witch Hazel: These provide so much relief for the days after a vaginal birth. Layer it on top of the pad and use often. It’s amazing what these little circles will do to help with relief.
Padsicles: Here’s a recipe to make them (and store in the freezer) ahead of time.
Stool Softener: Do NOT skip taking these. They will make going to the bathroom a whole lot easier (spoiler alert – it really is not a fun experience right after birth.)
Cooling Gel Nipple Pads: The amazing glory of cooling your nipples off while learning to breastfeed is indescribable!
Reuseable Breast Pads: Use and wash. Repeat.
Nipple Cream: If breastfeeding is hurting your nipples, the latch is not 100%. There is not a painful period that you have to go through. Pain means you need a good lactation consultant ASAP. But if your nipples are hurting, go for an organic version of nipple butter/cream.
Mattress Cover: Your mattress will thank you. There will be baby pee, breastmilk leaks, possible blood leaking at night and just random other things that will happen on your bed. Keep that mattress protected.
Waterproof (washable) Pad: Your sheets will thank you. By keeping a waterproof pad under you at night, you won’t have to wash the sheets if you have a blood or milk leak.
New Sheets (Or a wonderful back up set): This is a follow-up to the above. You will be changing sheets frequently.
Arnica: Taking arnica consistently during labor will help decrease the chance of swelling after delivery. You then keep taking them for about 12 hours after delivery, or longer for swelling or soreness.
AfterEase: With each birth comes stronger after birth pains. You don’t realize this until you experience them. By mixing just a few drops of After Ease into your water, you will help tame the pain.
Lounge Wear: You will be lounging around for a few weeks, and nursing often. Make sure that your clothing is not restricting and makes you feel happy.
Nursing Bras: Your breasts are going to swell as engorgement occurs, but they will settle after a while. Skip the underwire and opt for comfort.
Frozen Peas: Oh the engorgement pain! Two bags of frozen peas will help.
Breast Pump: If you plan to go back to work, you'll need to start building your freezer stash soon after birth.
Luxurious Bath Products: This is a splurge and not necessary, but highly recommended. Your postpartum period is the perfect excuse to lie in a bathtub multiple times a week. When will that ever happen again? Splurge on essential oils, sugar scrubs, face products, anything that makes you feel pampered. Read labels though – NO CHEMICALS.
Books, DVDs, Magazines, and Netflix: All-night nursing sessions are going to happen. All-day nursing sessions are going to happen. You will do a lot of sitting. There is only so much daytime (or late night) TV you can handle.
Belly Wrap: These are great to get things going back in place. They provide abdominal and back support, in addition to helping the uterus shrink.
Heating Pad: Cramping and back pain are just a few ways you can use a heating pad. (Don’t lay your baby ON the pad!)
A Wrap or Sling: Keeping your arms free is a must. Keeping baby on you is a priority. Accomplish both with a supportive, comfortable carrier.
Snacks: Think high protein and snacks that you can grab and eat quickly with little prep. While you are still pregnant, make some of your favorite items and freeze them. Keep in mind that some foods boost milk supply (almonds, oats, etc) so try to include them whenever possible.
Giant Insulated Water Cup: Grab one with a handle and lid – maybe even a straw.
Freezer Meals: Invite a friend over to help, or just mom up and do it. Take a weekend to shop, prep, and store about 20 dinner meals, snacks, and any other food item that will help you relax through your postpartum time.
Busy Boxes for Older Siblings: Order a few sticker books, movies, kid-friendly needle points, or other activities that can buy you time postpartum.
Anything to Make your Life Easier: Paper plates, paper towels, plastic utensils. ANYTHING that eliminates tedious chores.
The ability to say "YES!" and "Thank You" – Say yes to friends who want to bring meals or help in any way, shape, or form!